Next, duplicate the whole of the lines further below without additions.
Record 1
Density functional theory data (wB97M-V/def2-TZVPD) for a gas-phase ion, C17H16N3O7 (charge -1) in a non-equilibrium geometry.

Geometry as XYZ:
```
43
Properties=species:S:1:pos:R:3:lowdin_charge:R:1
C 2.832 -5.318 0.538 -0.07
O 1.453 -4.950 0.795 -0.11
C 0.901 -3.787 0.352 -0.27
C -0.427 -3.504 0.757 -0.01
C -1.003 -2.280 0.512 -0.04
C -0.257 -1.246 -0.049 -0.15
C -0.969 0.088 -0.314 -0.09
C -0.179 1.313 -0.276 -0.10
C 1.221 1.313 0.212 -0.45
O 1.716 0.473 0.907 0.08
O 2.031 2.384 -0.180 0.04
C 1.689 3.250 -1.293 -0.51
C 2.180 2.654 -2.590 0.00
C 2.379 4.624 -1.092 0.00
O 0.244 3.471 -1.326 0.04
C -0.654 2.461 -1.017 -0.43
O -1.819 2.551 -1.431 0.04
N -2.309 0.288 0.673 -0.02
C -2.036 0.979 1.784 -0.14
N -3.097 1.210 2.585 0.14
C -4.074 0.535 1.932 -0.26
N -5.342 0.478 2.552 -0.33
O -6.280 -0.173 2.006 0.00
O -5.421 1.097 3.635 0.03
C -3.598 -0.052 0.695 0.01
C 1.010 -1.548 -0.571 -0.04
C 1.564 -2.802 -0.417 -0.02
H 2.976 -6.249 1.101 0.09
H 2.993 -5.509 -0.533 0.09
H 3.532 -4.554 0.907 0.09
H -0.951 -4.260 1.339 0.11
H -2.068 -2.177 0.706 0.11
H -1.751 0.014 -1.142 0.16
H 1.716 1.683 -2.746 0.09
H 1.938 3.325 -3.416 0.09
H 3.266 2.542 -2.549 0.09
H 2.073 5.127 -0.161 0.09
H 3.473 4.520 -1.078 0.09
H 2.143 5.294 -1.932 0.09
H -1.024 1.295 2.058 0.14
H -4.206 -0.706 0.082 0.12
H 1.581 -0.846 -1.176 0.12
H 2.551 -3.011 -0.840 0.11
```

Calculated values
SMILES	COc1ccc([C@H](C2=C([O-])OC(C)(C)OC2=O)n2cnc([N+](=O)[O-])c2)cc1
max |F|	0.0670	Eh/bohr
energy	-36689.479	eV
LUMO level	2.5707	eV
2S+1	1
charge	-1

Record 2
Density functional theory data (wB97M-V/def2-TZVPD) for a molecular structure, C17H16N6O5SSbSe4Tb in a non-equilibrium geometry.

Geometry as XYZ:
```
51
Properties=species:S:1:pos:R:3:lowdin_charge:R:1
Tb -0.114 -0.354 1.277 1.18
O -0.229 -5.059 -3.338 0.06
C -0.196 -4.131 -2.330 -0.27
C 1.076 -3.740 -1.767 0.06
C 1.048 -2.767 -0.808 -0.14
N -0.127 -2.223 -0.417 0.05
C -1.254 -2.460 -1.074 -0.16
C -1.334 -3.486 -1.966 0.04
C -2.311 -1.349 -0.831 -0.59
O -3.194 -1.256 -1.680 0.04
O -2.037 -0.648 0.198 -0.24
C 2.252 -2.056 -0.058 -0.68
O 3.293 -2.139 -0.688 0.03
O 1.949 -1.536 1.009 -0.13
H 0.651 -5.387 -3.467 0.08
H 1.963 -4.184 -2.222 0.12
H -2.223 -3.661 -2.539 0.13
N 1.378 0.967 -0.422 0.01
C 1.218 1.399 -1.802 -0.17
C 2.210 1.288 -2.766 0.00
C 1.959 1.762 -4.110 -0.10
C 0.782 2.304 -4.497 -0.06
C -0.312 2.371 -3.521 -0.13
C -1.605 2.981 -3.759 -0.02
C -2.571 2.918 -2.766 -0.06
C -2.255 2.345 -1.496 -0.09
N -1.048 1.891 -1.292 0.11
C -0.091 1.880 -2.191 -0.19
H 2.343 0.679 -0.313 0.09
H 1.250 1.707 0.239 -0.06
H 3.069 0.745 -2.478 0.09
H 2.700 1.584 -4.861 0.09
H 0.622 2.506 -5.569 0.10
H -1.816 3.246 -4.848 0.12
H -3.571 3.279 -2.922 0.09
H -2.991 2.177 -0.670 0.14
N 0.921 -1.084 3.698 -0.11
N 0.134 -0.773 4.849 -0.10
C -1.169 -0.803 4.675 -0.91
N -2.030 -0.193 5.532 0.07
S -1.851 -1.561 3.329 0.56
H 1.369 -1.953 3.963 0.09
H 1.663 -0.300 3.727 0.03
H 0.709 -0.028 5.421 -0.02
H -1.782 0.712 5.914 -0.08
H -2.941 -0.154 5.091 0.06
Se -0.862 2.854 6.784 -0.25
Sb 0.858 3.056 4.962 -0.28
Se 0.163 2.060 2.450 -0.10
Se 1.857 5.184 4.567 -0.30
Se 2.477 1.390 5.783 -0.19
```

Calculated values
max |F|	0.0782	Eh/bohr
energy	-338266.373	eV
LUMO level (spin up / spin down)	3.5099 / 3.5107	eV
2S+1	7
charge	-2

Record 3
Density functional theory data (wB97M-V/def2-TZVPD) for a molecular structure, C17H17BN4S3SbSe4Tc in a non-equilibrium geometry.

Geometry as XYZ:
```
48
Properties=species:S:1:pos:R:3:lowdin_charge:R:1
Tc -0.562 0.140 -0.826 0.66
S -2.485 0.121 3.362 1.17
C -0.813 -0.233 3.691 -0.44
C -0.190 -0.420 4.918 -0.07
C 1.144 -0.776 4.917 -0.06
C 1.846 -0.939 3.719 -0.06
C 1.234 -0.735 2.499 -0.05
C -0.111 -0.373 2.485 -0.32
N -0.900 -0.173 1.366 -0.07
C -2.153 0.061 1.668 -0.52
C -3.144 0.137 0.616 -0.25
C -4.516 0.166 0.873 -0.03
C -5.411 0.068 -0.174 -0.06
C -4.945 -0.086 -1.473 -0.05
C -3.580 -0.105 -1.738 -0.12
C -2.674 0.024 -0.701 -0.24
H -0.738 -0.301 5.842 0.12
H 1.649 -0.945 5.858 0.11
Record 1
Density functional theory data (wB97M-V/def2-TZVPD) for a gas-phase ion, C17H16N3O7 (charge -1) in a non-equilibrium geometry.

Geometry as XYZ:
```
43
Properties=species:S:1:pos:R:3:lowdin_charge:R:1
C 2.832 -5.318 0.538 -0.07
O 1.453 -4.950 0.795 -0.11
C 0.901 -3.787 0.352 -0.27
C -0.427 -3.504 0.757 -0.01
C -1.003 -2.280 0.512 -0.04
C -0.257 -1.246 -0.049 -0.15
C -0.969 0.088 -0.314 -0.09
C -0.179 1.313 -0.276 -0.10
C 1.221 1.313 0.212 -0.45
O 1.716 0.473 0.907 0.08
O 2.031 2.384 -0.180 0.04
C 1.689 3.250 -1.293 -0.51
C 2.180 2.654 -2.590 0.00
C 2.379 4.624 -1.092 0.00
O 0.244 3.471 -1.326 0.04
C -0.654 2.461 -1.017 -0.43
O -1.819 2.551 -1.431 0.04
N -2.309 0.288 0.673 -0.02
C -2.036 0.979 1.784 -0.14
N -3.097 1.210 2.585 0.14
C -4.074 0.535 1.932 -0.26
N -5.342 0.478 2.552 -0.33
O -6.280 -0.173 2.006 0.00
O -5.421 1.097 3.635 0.03
C -3.598 -0.052 0.695 0.01
C 1.010 -1.548 -0.571 -0.04
C 1.564 -2.802 -0.417 -0.02
H 2.976 -6.249 1.101 0.09
H 2.993 -5.509 -0.533 0.09
H 3.532 -4.554 0.907 0.09
H -0.951 -4.260 1.339 0.11
H -2.068 -2.177 0.706 0.11
H -1.751 0.014 -1.142 0.16
H 1.716 1.683 -2.746 0.09
H 1.938 3.325 -3.416 0.09
H 3.266 2.542 -2.549 0.09
H 2.073 5.127 -0.161 0.09
H 3.473 4.520 -1.078 0.09
H 2.143 5.294 -1.932 0.09
H -1.024 1.295 2.058 0.14
H -4.206 -0.706 0.082 0.12
H 1.581 -0.846 -1.176 0.12
H 2.551 -3.011 -0.840 0.11
```

Calculated values
SMILES	COc1ccc([C@H](C2=C([O-])OC(C)(C)OC2=O)n2cnc([N+](=O)[O-])c2)cc1
max |F|	0.0670	Eh/bohr
energy	-36689.479	eV
LUMO level	2.5707	eV
2S+1	1
charge	-1

Record 2
Density functional theory data (wB97M-V/def2-TZVPD) for a molecular structure, C17H16N6O5SSbSe4Tb in a non-equilibrium geometry.

Geometry as XYZ:
```
51
Properties=species:S:1:pos:R:3:lowdin_charge:R:1
Tb -0.114 -0.354 1.277 1.18
O -0.229 -5.059 -3.338 0.06
C -0.196 -4.131 -2.330 -0.27
C 1.076 -3.740 -1.767 0.06
C 1.048 -2.767 -0.808 -0.14
N -0.127 -2.223 -0.417 0.05
C -1.254 -2.460 -1.074 -0.16
C -1.334 -3.486 -1.966 0.04
C -2.311 -1.349 -0.831 -0.59
O -3.194 -1.256 -1.680 0.04
O -2.037 -0.648 0.198 -0.24
C 2.252 -2.056 -0.058 -0.68
O 3.293 -2.139 -0.688 0.03
O 1.949 -1.536 1.009 -0.13
H 0.651 -5.387 -3.467 0.08
H 1.963 -4.184 -2.222 0.12
H -2.223 -3.661 -2.539 0.13
N 1.378 0.967 -0.422 0.01
C 1.218 1.399 -1.802 -0.17
C 2.210 1.288 -2.766 0.00
C 1.959 1.762 -4.110 -0.10
C 0.782 2.304 -4.497 -0.06
C -0.312 2.371 -3.521 -0.13
C -1.605 2.981 -3.759 -0.02
C -2.571 2.918 -2.766 -0.06
C -2.255 2.345 -1.496 -0.09
N -1.048 1.891 -1.292 0.11
C -0.091 1.880 -2.191 -0.19
H 2.343 0.679 -0.313 0.09
H 1.250 1.707 0.239 -0.06
H 3.069 0.745 -2.478 0.09
H 2.700 1.584 -4.861 0.09
H 0.622 2.506 -5.569 0.10
H -1.816 3.246 -4.848 0.12
H -3.571 3.279 -2.922 0.09
H -2.991 2.177 -0.670 0.14
N 0.921 -1.084 3.698 -0.11
N 0.134 -0.773 4.849 -0.10
C -1.169 -0.803 4.675 -0.91
N -2.030 -0.193 5.532 0.07
S -1.851 -1.561 3.329 0.56
H 1.369 -1.953 3.963 0.09
H 1.663 -0.300 3.727 0.03
H 0.709 -0.028 5.421 -0.02
H -1.782 0.712 5.914 -0.08
H -2.941 -0.154 5.091 0.06
Se -0.862 2.854 6.784 -0.25
Sb 0.858 3.056 4.962 -0.28
Se 0.163 2.060 2.450 -0.10
Se 1.857 5.184 4.567 -0.30
Se 2.477 1.390 5.783 -0.19
```

Calculated values
max |F|	0.0782	Eh/bohr
energy	-338266.373	eV
LUMO level (spin up / spin down)	3.5099 / 3.5107	eV
2S+1	7
charge	-2

Record 3
Density functional theory data (wB97M-V/def2-TZVPD) for a molecular structure, C17H17BN4S3SbSe4Tc in a non-equilibrium geometry.

Geometry as XYZ:
```
48
Properties=species:S:1:pos:R:3:lowdin_charge:R:1
Tc -0.562 0.140 -0.826 0.66
S -2.485 0.121 3.362 1.17
C -0.813 -0.233 3.691 -0.44
C -0.190 -0.420 4.918 -0.07
C 1.144 -0.776 4.917 -0.06
C 1.846 -0.939 3.719 -0.06
C 1.234 -0.735 2.499 -0.05
C -0.111 -0.373 2.485 -0.32
N -0.900 -0.173 1.366 -0.07
C -2.153 0.061 1.668 -0.52
C -3.144 0.137 0.616 -0.25
C -4.516 0.166 0.873 -0.03
C -5.411 0.068 -0.174 -0.06
C -4.945 -0.086 -1.473 -0.05
C -3.580 -0.105 -1.738 -0.12
C -2.674 0.024 -0.701 -0.24
H -0.738 -0.301 5.842 0.12
H 1.649 -0.945 5.858 0.11